Given >
-- begin --
1.
Starting from a crystal structure in the Materials Project, relaxed with PBE, the XRD peak list of La3TiAlS7 was calculated for copper Kα.
Lines closer than 0.1° are merged.

Principal peaks in the range 5 to 70 degrees two-theta, sorted by position:
(hkl), 2theta, Rel. int.
1 0 1, 18.10, 45
1 1 1, 22.89, 53
2 0 1, 24.95, 100
1 2 0, 26.15, 52
3 1 1, 39.19, 68
1 2 2, 40.70, 48

Crystal structure
```
data_La3TiAlS7
_symmetry_space_group_name_H-M 'P 63'
_symmetry_Int_Tables_number 173
_cell_length_a 10.4123
_cell_length_b 10.4123
_cell_length_c 5.8375
_cell_angle_alpha 90.00
_cell_angle_beta 90.00
_cell_angle_gamma 120.00
loop_
_symmetry_equiv_pos_as_xyz
'x,y,z'
'x-y,x,z+1/2'
'-y,x-y,z'
'-x,-y,z+1/2'
'-x+y,-x,z'
'y,-x+y,z+1/2'
loop_
_atom_site_label
_atom_site_type_symbol
_atom_site_fract_x
_atom_site_fract_y
_atom_site_fract_z
La1 La 0.1296 0.3729 0.0000
Ti1 Ti 0.0000 0.0000 0.2600
Al1 Al 0.3333 0.6667 0.4154
S1 S 0.0789 0.2295 0.5115
S2 S 0.1053 0.5910 0.2710
S3 S 0.3333 0.6667 0.7930
```

---

2.
Starting from a crystal structure in the Materials Project, relaxed with PBE, the XRD peak list of La3AlVS7 was calculated for copper Kα.
Lines closer than 0.1° are merged.

Principal peaks in the range 5 to 70 degrees two-theta, sorted by position:
(hkl), 2theta, Rel. int.
1 0 1, 17.87, 43
2 0 1, 24.98, 100
1 2 0, 26.57, 41
3 0 1, 33.79, 43
2 0 2, 36.20, 43
3 1 1, 39.58, 51

Crystal structure
```
data_La3AlVS7
_symmetry_space_group_name_H-M 'P 63'
_symmetry_Int_Tables_number 173
_cell_length_a 10.2507
_cell_length_b 10.2507
_cell_length_c 5.9848
_cell_angle_alpha 90.00
_cell_angle_beta 90.00
_cell_angle_gamma 120.00
loop_
_symmetry_equiv_pos_as_xyz
'x,y,z'
'x-y,x,z+1/2'
'-y,x-y,z'
'-x,-y,z+1/2'
'-x+y,-x,z'
'y,-x+y,z+1/2'
loop_
_atom_site_label
_atom_site_type_symbol
_atom_site_fract_x
_atom_site_fract_y
_atom_site_fract_z
La1 La 0.1386 0.3731 0.0000
Al1 Al 0.3333 0.6667 0.4220
V1 V 0.0000 0.0000 0.2846
S1 S 0.0842 0.2248 0.5368
S2 S 0.1013 0.5830 0.2778
S3 S 0.3333 0.6667 0.7930
```

---

3.
Starting from a crystal structure in the Materials Project, relaxed with PBE, the XRD peak list of LaAlSi was calculated for copper Kα.
Lines closer than 0.1° are merged.

Principal peaks in the range 5 to 70 degrees two-theta, sorted by position:
(hkl), 2theta, Rel. int.
1 0 1, 21.41, 36
1 0 3, 27.47, 50
1 1 2, 31.68, 100
1 0 5, 36.89, 42
2 0 0, 41.77, 32
2 1 5, 56.94, 23

Crystal structure
```
data_LaAlSi
_symmetry_space_group_name_H-M 'I 41 m d'
_symmetry_Int_Tables_number 109
_symmetry_space_group_name_Hall 'I 4bw -2'
_cell_length_a 4.3248
_cell_length_b 4.3248
_cell_length_c 14.7448
_cell_angle_alpha 90.00
_cell_angle_beta 90.00
_cell_angle_gamma 90.00
loop_
_atom_site_label
_atom_site_type_symbol
_atom_site_fract_x
_atom_site_fract_y
_atom_site_fract_z
La1 La 0.0000 0.0000 0.0000
Al1 Al 0.0000 0.0000 0.5833
Si1 Si 0.0000 0.0000 0.4167
```

* * * * *

(1)
For CoAg2S3, DFT lattice parameters and positions (GGA-PBE) gives the calculated X-ray diffraction stick pattern in this record (Cu Kα X-rays).
Lines closer than 0.1° are merged.

Principal peaks in the range 15° ≤ 2θ ≤ 90°, low angle first:
2θ (°)	Rel. int.
28.1	50
28.4	100
28.5	49
32.2	30
47.3	34
47.8	33

Crystal structure
```
CoAg2S3
1.0
3.2717 -5.8831 0.0000
3.2717 5.8831 0.0000
-1.8839 0.0000 6.3509
Co Ag S
2 4 6
Direct
0.0769 0.9231 0.5000 Co
0.9231 0.0769 0.0000 Co
0.2409 0.7631 0.0100 Ag
0.4046 0.5649 0.5133 Ag
0.5649 0.4046 0.0133 Ag
0.7631 0.2409 0.5100 Ag
0.0311 0.1511 0.3352 S
0.1511 0.0311 0.8352 S
0.3373 0.8726 0.4036 S
0.5757 0.7525 0.9013 S
0.7525 0.5757 0.4013 S
0.8726 0.3373 0.9036 S
```


(2)
For Sc2Al3GaPt2, DFT lattice parameters and positions (GGA-PBE) gives the calculated X-ray diffraction stick pattern in this record (Cu Kα X-rays).
Lines closer than 0.1° are merged.

Principal peaks in the range 15° ≤ 2θ ≤ 90°, low angle first:
2θ (°)	Rel. int.
18.1	61
26.4	35
26.6	100
35.3	40
37.4	40
46.7	45

Crystal structure
```
Sc2Al3GaPt2
1.0
4.8998 -2.0994 0.0000
-- stop --

Request >
The reader should set down all of the listing further up unchanged.

Worked solution >
1.
Starting from a crystal structure in the Materials Project, relaxed with PBE, the XRD peak list of La3TiAlS7 was calculated for copper Kα.
Lines closer than 0.1° are merged.

Principal peaks in the range 5 to 70 degrees two-theta, sorted by position:
(hkl), 2theta, Rel. int.
1 0 1, 18.10, 45
1 1 1, 22.89, 53
2 0 1, 24.95, 100
1 2 0, 26.15, 52
3 1 1, 39.19, 68
1 2 2, 40.70, 48

Crystal structure
```
data_La3TiAlS7
_symmetry_space_group_name_H-M 'P 63'
_symmetry_Int_Tables_number 173
_cell_length_a 10.4123
_cell_length_b 10.4123
_cell_length_c 5.8375
_cell_angle_alpha 90.00
_cell_angle_beta 90.00
_cell_angle_gamma 120.00
loop_
_symmetry_equiv_pos_as_xyz
'x,y,z'
'x-y,x,z+1/2'
'-y,x-y,z'
'-x,-y,z+1/2'
'-x+y,-x,z'
'y,-x+y,z+1/2'
loop_
_atom_site_label
_atom_site_type_symbol
_atom_site_fract_x
_atom_site_fract_y
_atom_site_fract_z
La1 La 0.1296 0.3729 0.0000
Ti1 Ti 0.0000 0.0000 0.2600
Al1 Al 0.3333 0.6667 0.4154
S1 S 0.0789 0.2295 0.5115
S2 S 0.1053 0.5910 0.2710
S3 S 0.3333 0.6667 0.7930
```

---

2.
Starting from a crystal structure in the Materials Project, relaxed with PBE, the XRD peak list of La3AlVS7 was calculated for copper Kα.
Lines closer than 0.1° are merged.

Principal peaks in the range 5 to 70 degrees two-theta, sorted by position:
(hkl), 2theta, Rel. int.
1 0 1, 17.87, 43
2 0 1, 24.98, 100
1 2 0, 26.57, 41
3 0 1, 33.79, 43
2 0 2, 36.20, 43
3 1 1, 39.58, 51

Crystal structure
```
data_La3AlVS7
_symmetry_space_group_name_H-M 'P 63'
_symmetry_Int_Tables_number 173
_cell_length_a 10.2507
_cell_length_b 10.2507
_cell_length_c 5.9848
_cell_angle_alpha 90.00
_cell_angle_beta 90.00
_cell_angle_gamma 120.00
loop_
_symmetry_equiv_pos_as_xyz
'x,y,z'
'x-y,x,z+1/2'
'-y,x-y,z'
'-x,-y,z+1/2'
'-x+y,-x,z'
'y,-x+y,z+1/2'
loop_
_atom_site_label
_atom_site_type_symbol
_atom_site_fract_x
_atom_site_fract_y
_atom_site_fract_z
La1 La 0.1386 0.3731 0.0000
Al1 Al 0.3333 0.6667 0.4220
V1 V 0.0000 0.0000 0.2846
S1 S 0.0842 0.2248 0.5368
S2 S 0.1013 0.5830 0.2778
S3 S 0.3333 0.6667 0.7930
```

---

3.
Starting from a crystal structure in the Materials Project, relaxed with PBE, the XRD peak list of LaAlSi was calculated for copper Kα.
Lines closer than 0.1° are merged.

Principal peaks in the range 5 to 70 degrees two-theta, sorted by position:
(hkl), 2theta, Rel. int.
1 0 1, 21.41, 36
1 0 3, 27.47, 50
1 1 2, 31.68, 100
1 0 5, 36.89, 42
2 0 0, 41.77, 32
2 1 5, 56.94, 23

Crystal structure
```
data_LaAlSi
_symmetry_space_group_name_H-M 'I 41 m d'
_symmetry_Int_Tables_number 109
_symmetry_space_group_name_Hall 'I 4bw -2'
_cell_length_a 4.3248
_cell_length_b 4.3248
_cell_length_c 14.7448
_cell_angle_alpha 90.00
_cell_angle_beta 90.00
_cell_angle_gamma 90.00
loop_
_atom_site_label
_atom_site_type_symbol
_atom_site_fract_x
_atom_site_fract_y
_atom_site_fract_z
La1 La 0.0000 0.0000 0.0000
Al1 Al 0.0000 0.0000 0.5833
Si1 Si 0.0000 0.0000 0.4167
```

* * * * *

(1)
For CoAg2S3, DFT lattice parameters and positions (GGA-PBE) gives the calculated X-ray diffraction stick pattern in this record (Cu Kα X-rays).
Lines closer than 0.1° are merged.

Principal peaks in the range 15° ≤ 2θ ≤ 90°, low angle first:
2θ (°)	Rel. int.
28.1	50
28.4	100
28.5	49
32.2	30
47.3	34
47.8	33

Crystal structure
```
CoAg2S3
1.0
3.2717 -5.8831 0.0000
3.2717 5.8831 0.0000
-1.8839 0.0000 6.3509
Co Ag S
2 4 6
Direct
0.0769 0.9231 0.5000 Co
0.9231 0.0769 0.0000 Co
0.2409 0.7631 0.0100 Ag
0.4046 0.5649 0.5133 Ag
0.5649 0.4046 0.0133 Ag
0.7631 0.2409 0.5100 Ag
0.0311 0.1511 0.3352 S
0.1511 0.0311 0.8352 S
0.3373 0.8726 0.4036 S
0.5757 0.7525 0.9013 S
0.7525 0.5757 0.4013 S
0.8726 0.3373 0.9036 S
```


(2)
For Sc2Al3GaPt2, DFT lattice parameters and positions (GGA-PBE) gives the calculated X-ray diffraction stick pattern in this record (Cu Kα X-rays).
Lines closer than 0.1° are merged.

Principal peaks in the range 15° ≤ 2θ ≤ 90°, low angle first:
2θ (°)	Rel. int.
18.1	61
26.4	35
26.6	100
35.3	40
37.4	40
46.7	45

Crystal structure
```
Sc2Al3GaPt2
1.0
4.8998 -2.0994 0.0000